Mohawk Indians Kidnapped and Tortured a Jesuit Priest in New France for His Spread of Magic

Mohawk Indians Kidnapped and Tortured a Jesuit Priest in New France for His Spread of Magic

Donna Patricia Ward - October 3, 2018

After Christopher Columbus stumbled upon the New World, he set in motion numerous wars for empire that involved European powers. By the mid-1600s, Spain had exploited native populations and Portugal had expanded its African Slave trade into Brazil. The Iberian Peninsula was awash with silver that would make it one of the wealthiest regions in the world. The English, Dutch, and French wanted to take their own piece of the New World’s wealth. They packed ships with explorers and sent settlers to what would become Canada, New England, and New York and saw established the profitable fur trade.

Religious missions also traveled to the New World. Their objective was not furs but to save the souls of the heathen natives. Isaac Jogues was one such person. He suffered years of torture and banishment at the hands of Mohawk Indians who were convinced that all Europeans were evil and full of magic. This is the story of a Frenchman that remained steadfast to his faith while suffering unspeakable torture and as a result became a martyr and saint.

(These molecular data were left in the article by mistake)
'''
11
Properties=species:S:1:pos:R:3:forces:R:3:lowdin_charge:R:1 method="wB97M-V/def2-TZVPD" spin_multiplicity=1 smiles="O=CCCO" lumo_energy_ev=0.723 homo_energy_ha=-0.35787 relative_energy_kcal_mol=27.20 charge=0
O -0.7718 -2.5021 0.3219 0.171 0.285 -0.314 0.046
C -0.2837 -1.5251 -0.1940 -0.110 -0.312 0.186 -0.262
C 0.2679 -0.3906 0.6391 -0.042 -0.009 0.092 -0.145
C 0.3236 0.9548 -0.0671 0.381 -0.139 0.168 -0.282
O -0.9284 1.1816 -0.6844 -0.112 0.247 -0.123 -0.066
H -0.2344 -1.4405 -1.2973 0.080 0.047 0.070 0.128
H -0.3593 -0.3856 1.5339 0.057 0.267 -0.017 0.124
H 1.2775 -0.6652 0.9719 -0.106 -0.027 -0.085 0.128
H 0.5600 1.7432 0.6637 -0.052 -0.142 -0.118 0.117
H 1.1332 0.9534 -0.8142 -0.152 -0.054 0.066 0.118
H -0.8747 2.0081 -1.1793 -0.116 -0.162 0.075 0.092


14
Properties=species:S:1:pos:R:3:forces:R:3:lowdin_charge:R:1 method="wB97M-V/def2-TZVPD" spin_multiplicity=1 smiles="N/C(O)=N/CC(=O)O" lumo_energy_ev="-0.392 / -0.393" homo_energy_ha="-0.31133 / -0.31163" relative_energy_kcal_mol=96.44 charge=0
N 1.7243 -0.4784 1.0981 -0.855 -0.619 0.196 0.162
C 0.8853 0.0667 0.1539 3.680 5.920 1.565 -0.531
O 1.3201 -0.1486 -1.1238 -0.963 -1.142 -0.765 0.058
N 0.2403 1.2237 0.4760 1.418 -3.208 -1.329 0.107
C -0.8964 1.2154 -0.5044 1.163 -0.594 0.052 -0.110
C -1.2562 -0.1604 -0.0288 -6.688 1.583 3.800 -0.522
O -1.5847 -0.2026 1.2191 1.050 -1.726 -3.928 -0.004
O -1.7550 -1.0643 -0.9037 1.261 -0.060 0.269 0.117
H 2.0306 -1.4158 0.8739 0.102 0.041 0.073 0.108
H 1.2978 -0.4147 2.0172 0.211 -0.030 -0.036 0.113
H 2.2837 -0.0567 -1.1455 -0.251 -0.141 0.243 0.128
H -1.6443 1.9568 -0.2257 0.052 -0.250 -0.100 0.127
H -0.5722 1.2862 -1.5444 -0.194 0.086 -0.011 0.115
H -2.0732 -1.8073 -0.3618 0.013 0.139 -0.029 0.130


114
Properties=species:S:1:pos:R:3:forces:R:3:lowdin_charge:R:1 method="wB97M-V/def2-TZVPD" spin_multiplicity=1 smiles=Oc1ccc(O)cc1.Oc1ccc(O)cc1.Oc1ccc(O)cc1.Oc1ccc(O)cc1.Oc1ccc(O)cc1.Oc1ccc(O)cc1.CC#N.CC#N.CC#N.CC#N.CC#N lumo_energy_ev=0.266 homo_energy_ha=-0.28465 charge=0
O -7.3452 -23.4335 19.3809 -1.173 -1.583 0.972 0.041
C -6.1764 -22.9023 18.9955 -1.456 1.499 -0.110 -0.342
C -6.2900 -21.6347 18.3680 2.862 -1.516 -0.382 -0.007
C -5.0987 -21.1826 17.8019 -0.031 0.685 0.395 -0.022
C -3.8815 -21.8151 18.0618 1.709 -0.485 0.525 -0.293
O -2.6734 -21.3110 17.5580 -1.206 0.652 -0.343 0.013
C -3.8177 -22.9591 18.8626 -1.049 0.037 -0.175 -0.026
C -4.9978 -23.5730 19.2747 0.348 0.868 -0.767 -0.015
H -8.0693 -22.8105 19.2858 0.121 0.038 -0.121 0.100
H -7.1956 -21.0692 18.2053 -0.221 -0.336 0.161 0.112
H -5.1548 -20.2488 17.2623 0.465 0.039 -0.206 0.114
H -1.8992 -21.6761 17.9926 -0.274 -0.283 0.217 0.093
H -2.9214 -23.4438 19.2208 0.481 0.259 -0.519 0.113
H -4.9137 -24.5638 19.6963 -0.564 0.129 0.356 0.118
O 7.3078 -27.3264 12.1391 -1.209 1.962 0.869 -0.009
C 6.0469 -26.5925 12.1628 1.658 -2.330 -1.987 -0.265
C 5.0448 -26.9794 11.2870 -1.751 0.328 0.067 -0.015
C 3.8401 -26.2489 11.2489 1.594 -1.099 0.122 -0.005
'''
(The article goes on)

Mohawk Indians Kidnapped and Tortured a Jesuit Priest in New France for His Spread of Magic
A painting of Saint Isaac Jogues. Wikipedia.

Called to Service

Isaac Jogues was born in Orleans, France in January 1607. At the time of his birth, European powers had begun fighting among each other as they laid claim to parts of the New World. Their purpose was to control all aspects of the land, including indigenous people, and to exploit it for raw materials. In doing so European powers were convinced that they would be able to control trade and commerce, become wealthy beyond their dreams, and build impenetrable navies and armies with which to protect the seas and New World landholdings.

Yet there were some people that had a call to service. Young Isaac Jogues was the fifth child of nine children. His parents were part of France’s growing bourgeois, the middle class. Along with his siblings, Isaac was taught at home by a tutor and then went off to a Jesuit school at 10. He entered into a Jesuit monastery at 17 and received an extensive education and religious training. After he took his religious vows, he prepared to become a missionary. In 1636, at 29, Isaac Jogues was ordained as a priest and traveled to New France. It was his goal to work with the native populations and to spread the word of Jesus among them. He desired to “devote himself to labor” in New France “for the conversion and welfare of the natives.”

Father Jogues did not travel across the Atlantic alone. There were other Jesuits that traveled with him and all were to become missionaries in New France. Jogues was assigned to work with the Huron and Algonquin Indians who were part of the Iroquois League and considered to be allies of France. The Jesuits arrived in the New World and then made their way to Quebec arriving in July 1636. Soon they settled on Lake Huron in the village at St. Joseph and they began their religious outreach.

Mohawk Indians Kidnapped and Tortured a Jesuit Priest in New France for His Spread of Magic
Illustrated panel of smallpox affecting the Aztec circa 1585. Wikipedia.

As the Jesuits settled in to their new village, they began to reach out to the Hurons. This was a slow yet meticulous process. Father Jogues and his fellow Jesuits spent time getting to know the Hurons. They learned about the ways in which the Huron hunted and farmed, they learned about family ties and customs, and they learned their language. Perhaps most importantly, Father Jogues insisted on keeping with the Jesuit tradition of accommodating their ways to that of the Hurons. This was in stark contrast to the violent Spanish conquest of native people in present-day Mexico.

Europeans brought disease to the Hurons. Smallpox and measles killed many who had no natural resistance to these Old World diseases. As early as 1142, the Mohawk, Onondaga, Oneida, Cayuga, and Seneca people formed what the French called the Iroquois League as a way to band together for their own survival. These tribes believed that the Black Coats, named because of the robes that they wore, used magic to kill them with diseases and make their crops fail. The Jesuits, who meticulous acclimated to Huron customs, were able to convince the Huron that they did not possess magical powers, that they would not intentionally harm or exploit them, and that they were there only to “teach them, and to procure them their souls’ health.” Father Jogues lived among the Huron for six years.
